This example deploys a Jupyter Notebook server. You will also learn how you can connect to the server on VS Code or an IDE of your choice.

What you will do

  • Launch a GPU-accelerated interactive workload
  • Set up a Jupyter Notebook
  • Use SSH to connect to the workload

Writing the YAML

Let’s start by creating notebook.yaml file and fill it in.


Spin up a workload

Let’s repeat the steps from Quickstart and define the compute resource and runtime environment for our workload. Again, we will use the L4 instance from our managed cloud and the latest PyTorch container from NVIDIA NGC.

name: Jupyter notebook
description: A Jupyter Notebook server with an SSH connection
  cluster: vessl-gcp-oregon
  preset: gpu-l4-small

Configure an interactive run

By default, workloads launched with VESSL Run are batch jobs like the one we launched in our Quickstart example. On the other hand, interactive runs are essentially virtual machines running on GPUs for live interaction with your models and datasets.

You can enable this with the interactive key, followed by the jupyter key. Interactive runs come with a default field for idle culler which automatically shuts down user notebook servers when they have not been used for a certain period.

max_runtime works with idle_timeout as an additional measure to prevent resource overuse

**Materials data that have nothing to do with the text:**
1.
Simulated powder XRD pattern
Compound: NaZnPbO4
Radiation: a wavelength of 1.5418 Å
Structure: a crystal structure in Alexandria, relaxed with GGA-PBE

Structural model:
```
data_NaZnPbO4
_chemical_formula_sum 'Na2 Zn2 Pb2 O8'
_cell_length_a 6.4885
_cell_length_b 6.4885
_cell_length_c 6.4885
_cell_angle_alpha 124.81
_cell_angle_beta 116.20
_cell_angle_gamma 89.30
_space_group_name_H-M_alt 'P 1'
_space_group_IT_number 1
_space_group_name_Hall 'P 1'
loop_
_atom_site_label
_atom_site_fract_x
_atom_site_fract_y
_atom_site_fract_z
Na1 0.5000 0.0000 0.0000
Na2 0.5000 0.5000 0.5000
Zn1 0.1083 0.3583 0.7500
Zn2 0.8917 0.6417 0.2500
Pb1 0.0000 0.0000 0.0000
Pb2 0.5000 0.0000 0.5000
O1 0.2282 0.2387 0.9895
O2 0.2480 0.2400 0.4920
O3 0.2480 0.7560 0.0080
O4 0.2507 0.7613 0.4895
O5 0.7493 0.2387 0.5105
O6 0.7520 0.2440 0.9920
O7 0.7520 0.7600 0.5080
O8 0.7718 0.7613 0.0105
```

The 6 most intense peaks (5° ≤ 2θ ≤ 70°), low angle first:
2θ (°), I/Imax
17.61, 85
19.23, 35
29.72, 29
31.56, 100
32.69, 50
57.03, 36

2.
Simulated powder XRD pattern
Compound: Na2ZrPbO6
Radiation: a wavelength of 1.5418 Å
Structure: a crystal structure in Alexandria, relaxed with GGA-PBE

Structural model:
```
data_Na2ZrPbO6
_chemical_formula_sum 'Na2 Zr1 Pb1 O6'
_cell_length_a 5.7565
_cell_length_b 5.7590
_cell_length_c 5.9972
_cell_angle_alpha 61.36
_cell_angle_beta 61.37
_cell_angle_gamma 60.03
_space_group_name_H-M_alt 'P 1'
_space_group_IT_number 1
_space_group_name_Hall 'P 1'
loop_
_atom_site_label
_atom_site_fract_x
_atom_site_fract_y
_atom_site_fract_z
Na1 0.0000 0.0000 0.0000
Na2 0.4990 0.5000 0.5013
Zr1 0.7677 0.7683 0.6953
Pb1 0.2781 0.2787 0.1648
O1 0.0388 0.4340 0.8978
O2 0.1030 0.9389 0.4075
O3 0.4337 0.6290 0.8975
O4 0.5502 0.1048 0.4075
O5 0.6285 0.0382 0.8991
O6 0.9383 0.5505 0.4073
```

The 6 most intense peaks (5° ≤ 2θ ≤ 70°), low angle first:
2θ (°), I/Imax
21.40, 100
29.83, 57
31.06, 49
43.60, 32
48.24, 29
54.50, 23

3.
Simulated powder XRD pattern
Compound: NaPd3O4
Radiation: a wavelength of 1.5418 Å
Structure: a crystal structure in Alexandria, relaxed with GGA-PBE

Structural model:
```
data_NaPd3O4
_chemical_formula_sum 'Na2 Pd6 O8'
_cell_length_a 5.7552
_cell_length_b 5.7552
_cell_length_c 5.7552
_cell_angle_alpha 90.00
_cell_angle_beta 90.00
_cell_angle_gamma 90.00
_space_group_name_H-M_alt 'P 1'
_space_group_IT_number 1
_space_group_name_Hall 'P 1'
loop_
_atom_site_label
_atom_site_fract_x
_atom_site_fract_y
_atom_site_fract_z
Na1 0.0000 0.0000 0.0000
Na2 0.5000 0.5000 0.5000
Pd1 0.0000 0.2500 0.5000
Pd2 0.0000 0.7500 0.5000
Pd3 0.2500 0.5000 0.0000
Pd4 0.5000 0.0000 0.2500
Pd5 0.5000 0.0000 0.7500
Pd6 0.7500 0.5000 0.0000
O1 0.2500 0.2500 0.2500
O2 0.2500 0.2500 0.7500
O3 0.2500 0.7500 0.2500
O4 0.2500 0.7500 0.7500
O5 0.7500 0.2500 0.2500
O6 0.7500 0.2500 0.7500
O7 0.7500 0.7500 0.2500
O8 0.7500 0.7500 0.7500
```

The 6 most intense peaks (5° ≤ 2θ ≤ 70°), low angle first:
2θ (°), I/Imax
21.84, 25
34.86, 100
38.31, 29

name: Jupyter notebook
description: A Jupyter Notebook server with an SSH connection
  cluster: vessl-gcp-oregon
  preset: gpu-l4-small
    idle_timeout: 120m
  max_runtime: 24h

Running the workload

Now that we have a completed YAML, we can once again run the workload with vessl run.

vessl run create -f notebook.yaml

Running the command will verify your YAML and show you the current status of the workload. Click the output link in your terminal to see the full details and realtime logs of the Run on the web. Click Jupyter under Connect to launch a notebook.

Create an SSH connection

An interactive run is essentially a GPU-accelerated workload on a cloud with a port and an endpoint for live interactions. This means you can access the remote workload using SSH.

  1. First, get an SSH key pair.

    ssh-keygen -t ed25519 -C "vesslai"
  2. Add the generated key to your account.

    vessl ssh-key add // Press "enter" three times.
  3. Connect via SSH. Use the workload address from the Run Summary page to connect. You are ready to use VS Code or an IDE of your choice for remote development.

Manual access: The below command for manual access may change when you perform a new run due to changes in IP address, user account, port number, SSH key file path, proxy settings, or other options.

ssh -p 22 root@

Tips & tricks

Keep in mind that GPUs are fully dedicated to a notebook server —and therefore consume credits— even when you are not running compute-intensive cells. To optimize GPU usage, use tools like nbconvert to convert the notebook into a Python file or package it as a Python container and run it as a batch job.

You can also mount volumes to interactive workloads by defining import and reference files or datasets from your notebook.

Using our web interface

You can repeat the same process on the web. Head over to your Organization, select a project, and create a New run.

What’s next?

Next, let’s see how you use our interactive workloads to host a web app on the cloud using tools like Streamlit and Gradio.